和光 ギメルジュエリーコレクション2.December.2021
和光で「ギメル ジュエリーコレクション」が開催されます。
和光 本館2階 (03)3562-2111(代表)
「奥池 野鳥マップ」をつくりました2.July.2021
ギメルのアトリエが在る奥池地区は瀬戸内海国立公園内にあり、自然が豊かな地域です。珍しい種のとんぼや蝶々、クワガタ、加えて タヌキ、キツネ、いのしし、野うさぎ、おまけに鹿もと多種多様な生物が生息していて、なかでも野鳥は一年を通して数多くの種類を見ることができます。
奥池に棲む鳥や季節ごとに飛来する渡り鳥など、馴染みのあるものから珍しい鳥までをまとめた「奥池 野鳥マップ」をつくりました。深い緑のなかで姿を見つけるのはむずかしくても、鳴き声から姿がわかるように工夫しました。あたたかみのあるイラストは、いつもお願いしている平田 智子さんと名田 享代さんによるものです。このマップをきっかけに、自然の生きものたちにもっと興味の眼が向くと毎日が楽しくなります。
Tel : 0797-34-5010
“Wild Birds in Okuike” handbook is almost ready.
Okuike area, where Gimel’s atelier is located, is in Setonaikai National Park and has abundant natural environment. A great variety of wildlife species are living in this area, for example, rare species of dragonflies, butterflies and stag beetles, in addition, raccoon dogs, foxes, boars, hares and deer, too. Among them, especially birds, we can see various types of them throughout a year.
Therefore, we made a handbook “Wild Birds in Okuike” covering from familiar birds to rare birds, who live permanently in Okuike area and migratory birds coming to this area depending on seasons. This is designed to enable you to identify them by their songs since it’s difficult to find them in the deep green forest.
The birds’ illustrations are drawn by Ms. Tomoko Hirata and Ms. Takayo Nada, who have drawn our jewelries for brochures. We wish this handbook invites you not only to do bird watching but also to look at living things around you with interest, and your daily life will be more pleasant.
Topics 1 ギメルショップ大丸神戸店、OPEN!
お近くにお越しの際には、是非 お立ち寄りください。
Topics 2 和光 ギメルジュエリーコレクション
和光で「ギメル ジュエリーコレクション」が開催されます。
和光 本館2階 (03)3562-2111(代表)
お近くにお越しの際には、是非 お立ち寄りください。
夢や希望を輝きに託して — 美は心を潤す(家庭画報4月号)10.March.2021
Dreams and hopes entrusted upon brilliance – beauty enriches heart (Katei Gaho April Edition)
Between two parts of the entry: crystal structures >
~~~
Ag2AsO2 | PBE | relaxed

Unit cell a=10.7344 b=10.7128 c=7.6986 alpha=69.11 beta=68.81 gamma=42.07
Closest atoms and distances in Å follow each position.
Fractional coordinates of all 20 atoms:
1 Ag 0.1885 0.8113 0.2525  2 O 2.07
2 Ag 0.1887 0.8115 0.7523  2 O 2.07
3 Ag 0.2477 0.2525 0.8113  2 O 2.07
4 Ag 0.2525 0.2477 0.1885  2 O 2.07
5 Ag 0.7475 0.7523 0.8115  2 O 2.07
6 Ag 0.7523 0.7475 0.1887  2 O 2.07
7 Ag 0.8113 0.1885 0.2477  2 O 2.07
8 Ag 0.8115 0.1887 0.7475  2 O 2.07
9 As 0.0000 0.5000 0.5000  2 O 1.93
10 As 0.5000 0.0000 0.5000  2 O 1.93
11 As 0.5000 0.5000 0.0000  2 O 1.93
12 As 0.5000 0.5000 0.5000  2 O 1.93
13 O 0.0275 0.5306 0.7123  1 As 1.93, 2 Ag 2.07
14 O 0.2295 0.7123 0.5306  1 As 1.93, 2 Ag 2.07
15 O 0.2877 0.7705 0.9725  1 As 1.93, 2 Ag 2.07
16 O 0.4694 0.9725 0.7705  1 As 1.93, 2 Ag 2.07
17 O 0.5306 0.0275 0.2295  1 As 1.93, 2 Ag 2.07
18 O 0.7123 0.2295 0.0275  1 As 1.93, 2 Ag 2.07
19 O 0.7705 0.2877 0.4694  1 As 1.93, 2 Ag 2.07
20 O 0.9725 0.4694 0.2877  1 As 1.93, 2 Ag 2.07

Calculated values
Its formation energy is -159 meV/atom. The total energy is -3.9281 eV per atom. The space group is Fddd (70).

=====

No. 1
Computed, not measured: crystalline C at its relaxed geometry at the meta-GGA r2SCAN level of DFT.

Unit cell a=2.513 b=2.513 c=12.392 alpha=90.00 beta=90.00 gamma=120.00
Fractional positions:
C1 0.667 0.333 0.355
C2 0.333 0.667 0.855
C3 0.667 0.333 0.021
C4 0.333 0.667 0.645
C5 0.333 0.667 0.979
C6 0.000 0.000 0.687
C7 0.667 0.333 0.479
C8 0.333 0.667 0.521
C9 0.000 0.000 0.313
C10 0.667 0.333 0.145
C11 0.000 0.000 0.813
C12 0.000 0.000 0.187

Output
The total magnetic moment is 0.00 μB per cell. Its space group is P6_3/mmc (194). The value obtained for the raw total energy is -117.94 eV/cell.



No. 2
Computed, not measured: crystalline C at its relaxed geometry at the meta-GGA r2SCAN level of DFT.

Unit cell a=2.457 b=2.457 c=3.695 alpha=74.18 beta=74.18 gamma=59.99
Fractional positions:
C1 0.833 0.833 0.000
C2 0.167 0.167 0.000

Output
The total magnetic moment is 0.00 μB per cell. Its space group is C2/m (12). The value obtained for the raw total energy is -19.89 eV/cell.



No. 3
Computed, not measured: crystalline C at its relaxed geometry at the meta-GGA r2SCAN level of DFT.

Unit cell a=11.154 b=11.154 c=11.154 alpha=12.64 beta=12.64 gamma=12.64
Fractional positions:
C1 0.949 0.949 0.949
C2 0.282 0.282 0.282
C3 0.718 0.718 0.718
C4 0.051 0.051 0.051

Output
The total magnetic moment is 0.00 μB per cell. Its space group is R-3m (166). The value obtained for the raw total energy is -39.75 eV/cell.



No. 4
Computed, not measured: crystalline C at its relaxed geometry at the meta-GGA r2SCAN level of DFT.

Unit cell a=4.407 b=4.407 c=4.254 alpha=90.00 beta=90.00 gamma=112.27
Fractional positions:
C1 0.250 0.250 0.167
C2 0.500 0.500 0.667
C3 0.750 0.750 0.167
C4 0.250 0.250 0.833
C5 0.750 0.750 0.833
C6 0.000 0.000 0.667
C7 0.500 0.500 0.333
C8 0.000 0.000 0.333

Output
~~~
It has been more than a year since our way of life has been disrupted by Covid-19. Throughout these trying times, we at Gimel have kept ourselves busy creating jewelry pieces with various colorful gemstones with a strong belief that jewelry enriches our heart, adds color to daily routines and brings hope. No matter how our life may change as the result of this disruption, Spring does come around and the lives of birds and animals are passed down to the next generations. We sincerely hope the world will soon be back to normal just as Robert Browning’s famous poem which ends “All’s right with the world”.
世界に色を — サファイアのネックレス(家庭画報4月号掲載)
Sapphires Necklace (From Katei Gaho April Edition)
One day in last August, a German jewelry trader friend of mine contacted me and told me excitedly that he was able to collect this many sapphires in Thailand thanks to some down time created by Covid-19. When I asked him, “They are, of course, unheated stones, aren’ they?” He lost his words for a moment and said, “I have lots of time, so just wait, will you?” About two months later, he contacted me with a word “done”. That is how these stones became Gimel’s gems. He must have spent enormous time and effort by examining each piece in his lab making sure that the stones had not been heated, then sort them out for cut and shape. He then told me that it was a fun project thanks to me. This beautiful necklace was made possible due to an extraordinary circumstances caused by Covid-19.